Your job: transcribe the lines underneath from the one with "H16 0.802" to the one with "2.473 -1.193" character by character.

=====
Entry 1:
ORCA calculation (ωB97M-V/def2-TZVPD) on a molecular structure, C24H24N7OSSeY.

Results
- Relative energy (zero: lowest compared OMol25 entry of this formula, charge and spin): 18.8 kcal per mole
- Highest occupied orbital energy (spin up / spin down): -1.23 / -0.72 eV
- Net charge: -2
- E_LUMO (spin up / spin down): 4.42 / 4.42 eV

CARTESIAN COORDINATES (ANGSTROEM)
Y1 0.085 0.348 -1.707
S1 2.865 0.459 -1.670
C1 2.520 0.662 0.070
N1 3.435 0.206 0.859
N2 3.097 0.337 2.245
C2 2.548 -0.761 2.876
C3 1.774 -1.699 2.180
C4 1.169 -2.741 2.861
C5 1.317 -2.890 4.238
C6 2.090 -1.966 4.929
C7 2.702 -0.917 4.262
N3 1.368 1.338 0.518
N4 0.288 0.530 0.693
C8 -0.676 1.129 1.529
C9 -1.984 1.353 1.093
C10 -2.920 1.878 1.976
C11 -2.579 2.182 3.288
C12 -1.276 1.954 3.722
C13 -0.333 1.431 2.853
H1 3.887 0.727 2.735
H2 1.624 -1.584 1.116
H3 0.551 -3.432 2.299
H4 0.829 -3.704 4.760
H5 2.219 -2.056 6.003
H6 3.293 -0.190 4.811
H7 -2.246 1.105 0.065
H8 -3.933 2.052 1.629
H9 -3.321 2.588 3.967
H10 -0.998 2.176 4.747
H11 0.684 1.240 3.171
C14 -2.640 2.628 -3.590
N5 -1.356 2.736 -4.279
C15 -1.129 2.476 -5.608
C16 0.204 2.583 -5.824
N6 0.774 2.909 -4.614
C17 2.190 3.107 -4.348
C18 -0.190 3.006 -3.661
Se1 0.145 3.389 -1.872
H12 -3.392 2.396 -4.344
H13 -2.860 3.582 -3.109
H14 -2.515 1.771 -2.849
H15 -1.936 2.203 -6.263
H16 0.802 2.436 -6.705
H17 2.735 2.923 -5.273
H18 2.520 2.425 -3.561
H19 2.358 4.127 -4.004
N7 0.058 -2.006 -1.696
C19 -0.454 -2.917 -0.882
C20 -0.196 -4.318 -1.050
C21 -0.692 -5.270 -0.184
C22 -1.537 -4.910 0.867
C23 -1.848 -3.559 1.040
C24 -1.311 -2.589 0.220
H20 0.442 -4.592 -1.883
H21 -0.441 -6.316 -0.338
H22 -1.939 -5.661 1.537
H23 -2.496 -3.255 1.856
H24 -1.533 -1.542 0.383
O1 -1.841 0.482 -2.084

Atomic partial charges in e from the Löwdin method, atoms 1 to 4: Y 0.912; S 0.357; C -0.903; N -0.027


Entry 2:
ORCA calculation (ωB97M-V/def2-TZVPD) on a single C2H6F2N4 molecule.

Results
- Relative energy (zero: lowest compared OMol25 entry of this formula, charge and spin): 1.1 kcal per mole
- Highest occupied orbital energy: -8.56 eV
- Net charge: 0
- SMILES: N/N=C(/NN)C(F)F
- E_LUMO: 0.96 eV

CARTESIAN COORDINATES (ANGSTROEM)
C1 -0.206 0.036 -0.273
C2 1.137 0.584 0.174
H1 -1.806 1.117 2.335
H2 -1.203 -0.574 2.286
H3 -2.148 0.098 0.144
H4 1.449 -0.703 -1.889
H5 0.367 -1.513 -2.849
H6 0.992 1.276 1.006
N1 -1.169 0.413 1.926
N2 -1.306 0.503 0.501
N3 -0.472 -0.752 -1.216
N4 0.649 -1.307 -1.875
F1 1.957 -0.444 0.562
F2 1.759 1.266 -0.832

Atomic partial charges in e from the natural (NBO) method, atoms 1 to 4: C 0.257; C 0.507; H 0.377; H 0.357


Entry 3:
ORCA calculation (ωB97M-V/def2-TZVPD) on a molecular structure, C12H20ClMnN7O7.

Results
- Highest occupied orbital energy (spin up / spin down): -7.90 / -7.90 eV
- Multiplicity: 2
- Net charge: 0
- E_LUMO (spin up / spin down): -1.24 / -1.35 eV

CARTESIAN COORDINATES (ANGSTROEM)
Mn1 -0.007 0.550 0.456
N1 0.350 2.005 1.885
C1 1.698 1.952 2.464
C2 1.878 0.599 3.129
N2 1.409 -0.490 2.271
C3 0.543 -1.416 3.023
C4 -0.853 -0.829 3.059
N3 -1.265 -0.606 1.661
C5 2.473 -1.193 1.550
C6 3.067 -0.242 0.534
N4 1.955 0.272 -0.296
H1 0.229 2.847 1.333
H2 -0.356 2.017 2.615
H3 1.871 2.745 3.195
H4 2.395 2.102 1.644
H5 1.274 0.591 4.039
H6 2.919 0.461 3.443
H7 0.922 -1.611 4.033
H8 0.493 -2.359 2.477
H9 -0.890 0.120 3.605
H10 -1.523 -1.526 3.566
H11 -2.223 -0.274 1.620
H12 -1.231 -1.567 1.223
H13 2.002 -2.035 1.032
H14 3.249 -1.588 2.218
H15 3.808 -0.767 -0.071
H16 3.576 0.596 1.008
H17 1.649 -0.465 -0.936
H18 2.252 1.058 -0.865
O1 -3.669 0.377 -6.075
N5 -3.563 1.052 -5.071
O2 -4.163 2.090 -4.861
C7 -2.660 0.572 -4.020
C8 -2.485 1.352 -2.886
C9 -1.618 0.847 -1.959
C10 -0.915 -0.363 -2.041
O3 -0.206 -0.703 -1.034
C11 -1.098 -1.067 -3.248
C12 -1.976 -0.621 -4.209
N6 -0.309 -2.274 -3.536
O4 -0.820 -3.119 -4.241
O5 0.830 -2.293 -3.117
N7 -1.248 1.528 -0.727
O6 -2.092 1.797 0.155
O7 -0.078 2.136 -0.695
H19 -3.009 2.288 -2.761
H20 -2.122 -1.196 -5.111
Cl1 -0.461 -3.350 0.520
=====

H16 0.802 2.436 -6.705
H17 2.735 2.923 -5.273
H18 2.520 2.425 -3.561
H19 2.358 4.127 -4.004
N7 0.058 -2.006 -1.696
C19 -0.454 -2.917 -0.882
C20 -0.196 -4.318 -1.050
C21 -0.692 -5.270 -0.184
C22 -1.537 -4.910 0.867
C23 -1.848 -3.559 1.040
C24 -1.311 -2.589 0.220
H20 0.442 -4.592 -1.883
H21 -0.441 -6.316 -0.338
H22 -1.939 -5.661 1.537
H23 -2.496 -3.255 1.856
H24 -1.533 -1.542 0.383
O1 -1.841 0.482 -2.084

Atomic partial charges in e from the Löwdin method, atoms 1 to 4: Y 0.912; S 0.357; C -0.903; N -0.027


Entry 2:
ORCA calculation (ωB97M-V/def2-TZVPD) on a single C2H6F2N4 molecule.

Results
- Relative energy (zero: lowest compared OMol25 entry of this formula, charge and spin): 1.1 kcal per mole
- Highest occupied orbital energy: -8.56 eV
- Net charge: 0
- SMILES: N/N=C(/NN)C(F)F
- E_LUMO: 0.96 eV

CARTESIAN COORDINATES (ANGSTROEM)
C1 -0.206 0.036 -0.273
C2 1.137 0.584 0.174
H1 -1.806 1.117 2.335
H2 -1.203 -0.574 2.286
H3 -2.148 0.098 0.144
H4 1.449 -0.703 -1.889
H5 0.367 -1.513 -2.849
H6 0.992 1.276 1.006
N1 -1.169 0.413 1.926
N2 -1.306 0.503 0.501
N3 -0.472 -0.752 -1.216
N4 0.649 -1.307 -1.875
F1 1.957 -0.444 0.562
F2 1.759 1.266 -0.832

Atomic partial charges in e from the natural (NBO) method, atoms 1 to 4: C 0.257; C 0.507; H 0.377; H 0.357


Entry 3:
ORCA calculation (ωB97M-V/def2-TZVPD) on a molecular structure, C12H20ClMnN7O7.

Results
- Highest occupied orbital energy (spin up / spin down): -7.90 / -7.90 eV
- Multiplicity: 2
- Net charge: 0
- E_LUMO (spin up / spin down): -1.24 / -1.35 eV

CARTESIAN COORDINATES (ANGSTROEM)
Mn1 -0.007 0.550 0.456
N1 0.350 2.005 1.885
C1 1.698 1.952 2.464
C2 1.878 0.599 3.129
N2 1.409 -0.490 2.271
C3 0.543 -1.416 3.023
C4 -0.853 -0.829 3.059
N3 -1.265 -0.606 1.661
C5 2.473 -1.193 1.550